Holding effective business meetings: a 10 step guide

We’ve all been there. You’re in a room full of colleagues or potential clients and you feel ignored. Those who speak the loudest commands the direction of the meeting and you leave feeling your expertise or opinions have not been listened to. It can all feel like a waste of time – but it doesn’t have to be. Our 10 top tips to getting the most out of business meetings could help you wave goodbye to the endless frustration.

Man facilitating small work meeting

Research tells us the average executive spends 23 hours of every working week in business meetings. But despite spending over half of the week in them, many report that they find this time unproductive. 

We call business meetings because we want to reach a resolution or agreement on how to move forward with a business decision. But all-too-often these good intentions are clouded by competitiveness. The more people and business functions involved, the more complex these issues become. As teams and managers compete for resources, it can feel difficult to be heard and often causes conflict. 

It’s natural that with so many contrasting personalities, motives and priorities in the room, descent into relative chaos can happen. The key to avoiding this is the separation of ‘facts’ from ‘opinions’. Both have an important part to play in meetings, but the order that they are discussed can make or break its success. 

Often, meeting facilitators are inadvertently the ones to blame for this. We ask people to speak up and share opinions throughout meetings – which often leads to certain individuals or teams anchoring each point with their thoughts, rather than facts. Research shows that a correlation of 85% or more between the initial anchor point and the outcome of the meeting. This has the potential to be lead to outcomes that, at worst, could damage your business performance. Luckily, this can be combatted by adopting a ‘facts first’ structure to your meetings. 

Our 10 steps to conducting a productive ‘facts first’ meeting could help your teams make better business decisions and strengthen working relationships.

  1. Set expectations and objectives before the meeting

Establishing an overarching goal will help every attendee focus on the common objective and prepare any documents they need to bring with them. 

This may include an agenda and pre-meeting action points sent to everyone invited. These may include collating sales figures, analytics reports, or other fact-based documents that will help drive the meeting to a successful outcome. 

Everybody invited needs to support the process of achieving an outcome. If there are no pre-meeting actions for an invitee, consider whether their attendance is required or if a quick individual chat or email would be better. Remember, attendees can always feed down the outcomes to their teams. 

You may also want to consider where potential conflict may arise and prepare some additional documents in expectation. 

  1. Facts before opinions

This may sound quite simple, but people often get confused between opinions and facts. Recognising the difference is the most important step in achieving a successful outcome in your meeting. People love to share their opinions – and to hold on to them. 

Facts are quantifiable pieces of information such as sales data, technical reports, or research. When somebody begins to start sentences with phrases such as “I think…”, “I want…” or “I feel…”, they are staying into opinions. 

Facts should be established at the beginning of the meeting before any creative discussion. Let the meeting participants know that they will be invited to share opinions at a later point in the discussion. 

  1. Document facts within the meeting minutes

Not taking notes during the meeting leaves everyone open to misinterpretation. Create a template for taking meeting notes and write down any facts presented as well as the person who gave them. 

  1. Allow facts to be challenged

Although we should lead on facts over opinions, do not accept them blindly. The way facts are presented can be twisted to influence others in one way or another. 

Do not be afraid of speaking up in the meeting and questioning the validity of any facts presented or what it could mean for any business outcomes. 

  1. Be open to changing your initial thoughts or feelings

You may walk into a meeting thinking you are going to know the end outcome. Our opinions can be difficult to let go of but go into the meeting ready to listen, learn and – potentially – let the facts guide your feelings. 

The purpose of adopting a ‘facts first’ approach to meetings is to enable you to be influenced by quantifiable information and help you to be more open in your thoughts and feelings. Trust the process! 

  1. Invite creativity and opinion after facts

When each member of the meeting has contributed factual information to the meeting, allow the group to come together for creativity, interpretation and experience-based opinion. At this point, the facts have anchored the meeting.

  1. Let a facilitator guide creative brainstorms

When discussing the facts in a more interpretive, opinion-based way – always appoint a facilitator to manage and record the discussion. Once you have done the good work of basing the meeting discussion on facts, it could be easy to let the loudest voice derail the progress. A facilitator will help you ensure the meeting direction is not changed to suit somebody’s interests. 

  1. Allow everybody to agree on the outcome and actions

When we’ve combined the opinions based on the anchoring facts, business decisions will start to become clear. The final stage of your meeting should allow everybody to agree on the next steps needed based on the facilitated discussion. 

  1. Assign actions and timelines

## Data records that have nothing to do with the entry
- - -
Starting from a cell relaxed with GGA+U, the powder diffractogram of MgCr3P4O14 was simulated for copper Kα.

Cell and atoms:
abc: 7.3273 7.9225 9.5825
angles: 90.00 108.37 90.00
Positions (direct):
1 Mg 0.0000 0.0000 0.0000
2 Mg 0.0000 0.5000 0.5000
3 Cr 0.3220 0.1372 0.4959
4 Cr 0.3220 0.3628 0.9959
5 Cr 0.5000 0.0000 0.0000
6 Cr 0.5000 0.5000 0.5000
7 Cr 0.6780 0.6372 0.0041
8 Cr 0.6780 0.8628 0.5041
9 P 0.0726 0.0531 0.7013
10 P 0.0726 0.4469 0.2013
11 P 0.3719 0.7103 0.1915
12 P 0.3719 0.7897 0.6915
13 P 0.6281 0.2103 0.3085
14 P 0.6281 0.2897 0.8085
15 P 0.9274 0.5531 0.7987
16 P 0.9274 0.9469 0.2987
17 O 0.1365 0.1931 0.6168
18 O 0.1365 0.3069 0.1168
19 O 0.1395 0.5154 0.8468
20 O 0.1395 0.9846 0.3468
21 O 0.1485 0.0817 0.8703
22 O 0.1485 0.4183 0.3703
23 O 0.1685 0.6229 0.1707
24 O 0.1685 0.8771 0.6707
25 O 0.3209 0.6168 0.6157
26 O 0.3209 0.8832 0.1157
27 O 0.4699 0.7109 0.3610
28 O 0.4699 0.7891 0.8610
29 O 0.4844 0.6007 0.1179
30 O 0.4844 0.8993 0.6179
31 O 0.5156 0.1007 0.3821
32 O 0.5156 0.3993 0.8821
33 O 0.5301 0.2109 0.1390
34 O 0.5301 0.2891 0.6390
35 O 0.6791 0.1168 0.8843
36 O 0.6791 0.3832 0.3843
37 O 0.8315 0.1229 0.3293
38 O 0.8315 0.3771 0.8293
39 O 0.8515 0.5817 0.6297
40 O 0.8515 0.9183 0.1297
41 O 0.8605 0.0154 0.6532
42 O 0.8605 0.4846 0.1532
43 O 0.8635 0.6931 0.8832
44 O 0.8635 0.8069 0.3832

Most intense lines, 2θ = 10–90°, by intensity:
| d [Å] | 2theta | I_rel |
| --- | --- | --- |
| 3.061 | 29.18 | 100.0 |
| 2.977 | 30.02 | 42.1 |
| 3.087 | 28.92 | 41.1 |
| 3.352 | 26.59 | 32.9 |
| 2.536 | 35.39 | 31.1 |
| 2.766 | 32.36 | 28.6 |
| 6.954 | 12.73 | 25.3 |
| 2.602 | 34.46 | 23.0 |
| 5.081 | 17.45 | 22.2 |
| 3.442 | 25.89 | 21.8 |



Starting from a cell relaxed with GGA+U, the powder diffractogram of MgCr2P2O10 was simulated for copper Kα.

Cell and atoms:
abc: 5.5169 5.9047 6.3535
angles: 87.74 89.92 89.92
Positions (direct):
1 Mg 0.0000 0.0000 0.0000
2 Cr 0.2194 0.3229 0.2217
3 Cr 0.6748 0.7975 0.6990
4 P 0.4047 0.3039 0.7053
5 P 0.4882 0.8081 0.2078
6 O 0.2359 0.2461 0.8951
7 O 0.2518 0.3794 0.5125
8 O 0.3053 0.0051 0.2411
9 O 0.3169 0.6180 0.1348
10 O 0.5529 0.0918 0.6481
11 O 0.5781 0.4955 0.7680
12 O 0.6398 0.7444 0.4006
13 O 0.6645 0.8668 0.0224
14 O 0.9221 0.2709 0.1909
15 O 0.9772 0.8310 0.7295

Most intense lines, 2θ = 10–90°, by intensity:
| d [Å] | 2theta | I_rel |
| --- | --- | --- |
| 4.029 | 22.06 | 100.0 |
| 4.163 | 21.34 | 52.6 |
| 3.362 | 26.52 | 40.0 |
| 3.174 | 28.11 | 33.4 |
| 5.517 | 16.07 | 32.2 |
| 2.950 | 30.30 | 25.4 |
| 1.853 | 49.18 | 16.2 |
| 2.528 | 35.51 | 15.5 |
| 2.017 | 44.94 | 12.7 |
| 3.443 | 25.88 | 12.4 |



Starting from a cell relaxed with GGA+U, the powder diffractogram of MgCrPbO3 was simulated for copper Kα.

Cell and atoms:
abc: 3.9358 3.9358 6.2293
angles: 90.00 90.00 90.00
Positions (direct):
1 Mg 0.0000 0.0000 0.0000
2 Cr 0.5000 0.5000 0.0000
3 Pb 0.0000 0.0000 0.5000
4 O 0.0000 0.5000 0.0000
5 O 0.5000 0.0000 0.0000
6 O 0.5000 0.5000 0.5000
- - -

As your desired decision becomes clearer, assign necessary tasks to individuals and teams that will help you achieve it. Set clear timelines for individual actions that are workable for those involved.

  1. Follow-up after the meeting

The meeting doesn’t end because everybody has left the room. It’s important to follow up and share the minutes with everybody involved, with an opportunity to feedback and clarify any points. Not only does it serve as a useful guide to plan their work, it also gives a useful opportunity to amend their initial thoughts or position without the fear of ‘losing face’ in front of colleagues. 

In summary…

When sending your meeting agenda and expectations to your teams, set a structure that allows facts to be presented at the beginning of the meeting – and set a scheduled agenda point for facilitated creative discussion and brainstorming based on the information presented. 

Focussing on facts before opinions allow businesses to move away from a cycle of confirmation bias – the process of searching for information to back up an opinion. By switching this around, we open ourselves up to a structure that promotes new perspectives and better decision making. 

Improve your meeting facilitation skills

At The Speaking Clinic, we can help you facilitate effective business meetings. If you’d like to improve your communication and planning in meetings, book a no-obligation consultation with our speach coaches

Useful resources

To download our Top Ten Tips on Confident Speaking and A Comprehensive List of Questions to Communicate Efficiently guidance documents, visit our Resources Hub

Update history

**Next to the text, the page also holds data records:**
____________
# 1
# LiCePu2Ge4
Computed PXRD pattern, λ = 1.5418 Å (Cu Kα). Input: the GGA-PBE geometry in Alexandria.
Neutral-atom scattering factors, no anomalous dispersion.

The 6 most intense peaks (5 to 70 degrees two-theta), by intensity:
2θ = 35.01°, rel. 100; 2θ = 37.40°, rel. 97; 2θ = 22.42°, rel. 41; 2θ = 52.16°, rel. 32; 2θ = 65.93°, rel. 32; 2θ = 25.40°, rel. 27

Crystal structure
Unit cell a=9.1037 b=9.1037 c=9.1037 alpha=30.63 beta=30.63 gamma=30.63
Sites, in units of the cell vectors:
Li  0.0000  0.0000  0.0000
Ce  0.5000  0.5000  0.5000
Pu  0.2601  0.2601  0.2601
Pu  0.7399  0.7399  0.7399
Ge  0.1194  0.1194  0.1194
Ge  0.3715  0.3715  0.3715
Ge  0.6285  0.6285  0.6285
Ge  0.8806  0.8806  0.8806

---

# 2
# Li2CeGeSe4
Computed PXRD pattern, λ = 1.5418 Å (Cu Kα). Input: the GGA-PBE geometry in Alexandria.
Neutral-atom scattering factors, no anomalous dispersion.

The 6 most intense peaks (5 to 70 degrees two-theta), by intensity:
2θ = 31.35°, rel. 100; 2θ = 44.26°, rel. 57; 2θ = 31.70°, rel. 49; 2θ = 13.96°, rel. 48; 2θ = 46.09°, rel. 34; 2θ = 25.52°, rel. 25

Crystal structure
Unit cell a=6.7399 b=4.0963 c=7.0854 alpha=90.00 beta=109.72 gamma=90.00
Sites, in units of the cell vectors:
Li  0.0000  0.0000  0.0000
Li  0.0000  0.5000  0.5000
Ce  0.5000  0.0000  0.5000
Ge  0.5000  0.5000  0.0000
Se  0.2463  0.5000  0.2451
Se  0.2519  0.0000  0.7513
Se  0.7481  0.0000  0.2487
Se  0.7537  0.5000  0.7549

---

# 3
# Li2CeThGe2
Computed PXRD pattern, λ = 1.5418 Å (Cu Kα). Input: the GGA-PBE geometry in Alexandria.
Neutral-atom scattering factors, no anomalous dispersion.

The 6 most intense peaks (5 to 70 degrees two-theta), by intensity:
2θ = 33.50°, rel. 100; 2θ = 22.79°, rel. 53; 2θ = 40.02°, rel. 43; 2θ = 53.15°, rel. 27; 2θ = 68.56°, rel. 25; 2θ = 25.85°, rel. 22

Crystal structure
Unit cell a=4.5056 b=4.5056 c=7.3498 alpha=90.00 beta=90.00 gamma=120.00
Sites, in units of the cell vectors:
Li  0.3333  0.6667  0.2364
Li  0.6667  0.3333  0.7636
Ce  0.0000  0.0000  0.0000
Th  0.0000  0.0000  0.5000
Ge  0.3333  0.6667  0.7494
Ge  0.6667  0.3333  0.2506

----------

Computed X-ray diffraction stick pattern of AlFeCoS4 for Cu Kα (weighted mean of Kα1 and Kα2), from DFT lattice parameters and positions (PBE).
Intensities are scaled so that the largest is 100.

Most intense lines, 2θ = 10–90°, by angle:
two_theta, I/Imax, hkl
30.42, 100.0, 2 1 1
30.59, 52.5, 1 0 3
36.87, 52.8, 2 2 0
48.52, 48.6, 3 2 1
53.13, 49.9, 4 0 0
53.34, 99.7, 2 2 4

Structural model:
```
data_AlFeCoS4
_cell_length_a 6.896
_cell_length_b 6.896
_cell_length_c 9.678
_cell_angle_alpha 90.00
_cell_angle_beta 90.00
_cell_angle_gamma 90.00
_space_group_name_H-M_alt 'P 41 2 2'
_space_group_IT_number 91
loop_
_space_group_symop_operation_xyz
'x,y,z'
'-y,x,z+1/4'
'-x,-y,z+1/2'
'y,-x,z+3/4'
'x,-y,-z+1/2'
'-y,-x,-z+1/4'
'-x,y,-z'
'y,x,-z+3/4'
loop_
_atom_site_label
_atom_site_type_symbol
_atom_site_fract_x
_atom_site_fract_y
_atom_site_fract_z
Al1 Al 0.000 0.255 0.000
Fe1 Fe 0.253 0.253 0.375
____________

This article was updated in June 2021.